August 6, 2020
The New London Township Board of Supervisors Regular Meeting convened at 7:00 PM via Zoom video conference. The following Supervisors were present: Gerard Porter, Chairman; Dale Lauver, Vice Chairman; and Supervisor, Mary Anne Steel; and Ron Ragan, Township Engineer.
There was no public comment on Agenda items.
Pawtucket Road Residents – Park Portable Rest Room Concerns
Stewart Shapiro of 3 Pawtucket Road addressed the Board of Supervisors advising that he has received twenty three (23) letters of concern from residents neighboring the Township Park over the placement of the portable toilets. They are concerned the portable toilets will be located just ninety (90) feet from the entrance to their development and will bring a potential for odor. He also expressed that they do not want to look at a toilet when going to and from their neighborhood.
Kristin Begosh of 2 Pawtucket Road said that she sent a letter to the Board of Supervisors addressing her concerns of the toilet being just ninety (90) feet from her home. She is concerned about the odor and unsightliness. Ms. Begosh mentioned that the spectators who are present observing the baseball games would be sitting in the general area of the portable toilets and she is sure they would not appreciate that.
The text is interrupted by records of crystals:
~~~
Entry 1:
# Y2Er5Tl
Calculated powder XRD pattern, Cu Kα (weighted mean of Kα1 and Kα2). Input: a structure optimized by DFT (PBE).
Peak positions follow from Bragg's law for the DFT cell and can differ from measured ones.

Crystal structure
a = 6.968 Å, b = 6.968 Å, c = 6.989 Å
α = 119.89°, β = 119.88°, γ = 90.03°
Space group P1 (No. 1)
Symmetry-distinct sites (fractional):
Y (0.000, 0.000, 0.000) (multiplicity 1)
Y (0.498, 0.499, 0.000) (multiplicity 1)
Er (0.499, 0.000, 0.501) (multiplicity 1)
Er (0.500, 0.500, 0.501) (multiplicity 1)
Er (0.998, 0.000, 0.499) (multiplicity 1)
Er (0.999, 0.500, 0.000) (multiplicity 1)
Er (0.999, 0.500, 0.500) (multiplicity 1)
Tl (0.499, 0.000, 0.000) (multiplicity 1)

Peak list (12 most intense, 2θ from 10° to 90°, low angle first)
2theta	I (rel.)	index
31.38	100	2 0 0
36.24	17	0 0 2
36.47	33	2 2 -2
52.36	24	2 2 0
52.53	12	4 0 -2
62.17	14	2 0 2
62.48	28	4 2 -2
65.49	12	4 0 0
85.69	12	4 2 0
85.97	6	6 0 -2
88.26	6	2 2 2
88.67	6	4 4 -2

=====

Entry 2:
# Y4ErTl2
Calculated powder XRD pattern, Cu Kα (weighted mean of Kα1 and Kα2). Input: a structure optimized by DFT (PBE).
Peak positions follow from Bragg's law for the DFT cell and can differ from measured ones.

Crystal structure
a = 5.3026 Å, b = 5.3026 Å, c = 28.4416 Å
α = 90.00°, β = 90.00°, γ = 120.00°
Space group R-3m (No. 166, hexagonal axes)
Symmetry-distinct sites (fractional):
Y (0.0000, 0.0000, 0.1214) (multiplicity 6)
Y (0.0000, 0.0000, 0.2847) (multiplicity 6)
Er (0.0000, 0.0000, 0.5000) (multiplicity 3)
Tl (0.0000, 0.0000, 0.3952) (multiplicity 6)

Peak list (12 most intense, 2θ from 10° to 90°, low angle first)
2theta	I (rel.)	index
19.58	67	1 0 1
23.06	19	1 0 4
28.24	19	0 0 9
31.83	37	0 1 8
33.81	100	1 1 0
37.18	43	1 0 10
44.61	34	1 1 9
51.13	17	0 2 10
59.24	13	1 2 8
60.48	19	3 0 0
62.71	19	2 1 10
69.22	13	1 1 18

=====

Entry 3:
# Er2ZrTl3
Calculated powder XRD pattern, Cu Kα (weighted mean of Kα1 and Kα2). Input: a structure optimized by DFT (PBE).
Peak positions follow from Bragg's law for the DFT cell and can differ from measured ones.

Crystal structure
a = 3.477 Å, b = 3.477 Å, c = 12.573 Å
α = 90.00°, β = 90.00°, γ = 90.00°
Space group P4/mmm (No. 123)
Symmetry-distinct sites (fractional):
Er (0.000, 0.000, 0.170) (multiplicity 2)
Zr (0.000, 0.000, 0.500) (multiplicity 1)
Tl (0.500, 0.500, 0.000) (multiplicity 1)
Tl (0.500, 0.500, 0.340) (multiplicity 2)

Peak list (12 most intense, 2θ from 10° to 90°, low angle first)
2theta	I (rel.)	index
25.62	3	1 0 0
33.49	100	1 0 3
36.55	40	1 1 0
43.17	12	0 0 6
52.65	14	2 0 0
57.81	21	1 1 6
63.85	32	2 1 3
70.37	12	2 0 6
72.98	10	1 0 9
77.68	5	2 2 0
87.29	7	3 0 3
89.04	7	3 1 0

=====

Entry 4:
# Er4Tm
Calculated powder XRD pattern, Cu Kα (weighted mean of Kα1 and Kα2). Input: a structure optimized by DFT (PBE).
Peak positions follow from Bragg's law for the DFT cell and can differ from measured ones.

Crystal structure
a = 6.051 Å, b = 3.499 Å, c = 14.365 Å
α = 90.00°, β = 97.91°, γ = 90.00°
~~~
Back to the text:
Gerry Porter asked landscape architect and lead park designer, Martha Straus, if it would be possible to relocate the portable toilets closer to the baseball field. Ms. Straus stated anything is possible, however, there are a bunch of variables to consider. It would be on the edge of a slope that goes into the baseball field. The current portable toilet in that location has been blown and tipped over many times. It would take too many spaces up to place it on the Township parking lot. There was mention about placing the portable toilets in the parking lot behind the Township utility shed building, however, a safety concern was raised that when the Township Contractor would be using the building there would be trucks going in and out of the parking lot. Dale Lauver agreed that he did not think placing the portable toilets behind the utility building was a good idea since this area was originally designed for the contractors to receive deliveries with trucks in and out of that area. Mr. Lauver suggested moving them further into the park closer to where the trails split off but to keep in mind that the portable toilets have to be accessible by the trucks that clean them. Charlie Humkey of 6 Pawtucket Road agreed that placing the portable toilets in the parking lot by the utility shed building could put someone at risk. Mr. Humkey suggested the area that is currently designated for the portable toilets could possibly be turned into something else such as a concession stand.
Township resident, Dave Schupp, made a suggestion to the Board that all work be stopped on the structure that is proposed to house the portable toilets until a solution is found. The Board of Supervisors agreed with Mr. Schupp.
Mary Anne Steel suggested that the Board of Supervisors, Township Engineer, and Martha Straus all meet at the park site to minimize the liability and to come up with a central location for the portable toilets. Gerry Porter agreed with Mary Anne Steel’s suggestion.
It was agreed that the Board of Supervisors, the Township Engineer, and Martha Straus will schedule a date to meet at the park to come up with an alternative location for the portable toilets. After the meeting, when a decision is made, the Township will notify the concerned residents.
2020 Road Work Bid
There was only one (1) bid received for the road work. Motion was made by Gerry Porter, seconded by Mary Anne Steel, to accept and reward the bid of Harlan Construction for the amount of $43,050.00 for the year 2021. The vote was unanimous.
DocuWare Program
Township Assistant Secretary, Maureen Zdun, presented the Board of Supervisors with information regarding the purchase of the DocuWare scanning system for the Township office. Dale Lauver asked how secure will the Township data be? He expressed concern if the Township files could be held for ransom. Township Emergency Management Coordinator, Dave Flad, suggested that we ask Rothwell Document Solutions what their SOC 2 rating is. It was agreed that Maureen Zdun will contact Rothwell Document Solutions about the security concerns. She will also contact Neil Land of Brutscher Foley and ask his opinion on the Docu Ware system which they are currently using.
-- Crystal structures, as found in the file --
Starting from a structure optimized by DFT (GGA-PBE), the PXRD pattern of Mn2Sb2PtRh was simulated for CuKα.
Neutral-atom scattering factors, no anomalous dispersion.

Peak list (12 most intense, 5 to 70 degrees two-theta, by angle)
| 2θ/deg | I/Imax |
| --- | --- |
| 22.9 | 13.7 |
| 25.7 | 100.0 |
| 29.0 | 16.5 |
| 39.7 | 98.2 |
| 43.1 | 88.6 |
| 46.3 | 42.7 |
| 49.4 | 11.1 |
| 50.9 | 15.5 |
| 60.0 | 28.4 |
| 65.1 | 15.2 |
| 68.9 | 12.6 |
| 69.5 | 11.8 |

Structure:
Cell: 8.1377 8.1377 8.1377 Å, 29.86 29.86 29.86°
Element x y z (fractional)
Mn 0.0000 0.0000 0.0000
Mn 0.4996 0.4996 0.4996
Sb 0.1138 0.1138 0.1138
Sb 0.6170 0.6170 0.6170
Pt 0.2294 0.2294 0.2294
Rh 0.7321 0.7321 0.7321



Starting from a structure optimized by DFT (GGA-PBE), the PXRD pattern of Ti5MnPt2Rh2 was simulated for CuKα.
Neutral-atom scattering factors, no anomalous dispersion.

Peak list (12 most intense, 5 to 70 degrees two-theta, by angle)
| 2θ/deg | I/Imax |
| --- | --- |
| 11.9 | 23.0 |
| 18.9 | 17.3 |
| 26.9 | 29.6 |
| 30.8 | 16.8 |
| 34.2 | 43.7 |
| 36.3 | 29.3 |
| 38.3 | 17.0 |
| 41.3 | 100.0 |
| 46.6 | 13.5 |
| 48.3 | 35.9 |
| 49.1 | 21.1 |
| 52.3 | 19.3 |

Structure:
Cell: 10.4989 10.4989 2.9063 Å, 90.00 90.00 90.00°
Element x y z (fractional)
Ti 0.0000 0.5000 0.0000
Ti 0.1293 0.1492 0.0000
Ti 0.1492 0.8707 0.0000
Ti 0.3508 0.3707 0.0000
Ti 0.3707 0.6492 0.0000
Ti 0.5000 0.0000 0.0000
Ti 0.6293 0.3508 0.0000
Ti 0.6492 0.6293 0.0000
Ti 0.8508 0.1293 0.0000
Ti 0.8707 0.8508 0.0000
Mn 0.0000 0.0000 0.5000
Mn 0.5000 0.5000 0.5000
Pt 0.1533 0.6533 0.5000
Pt 0.3467 0.1533 0.5000
Pt 0.6533 0.8467 0.5000
Pt 0.8467 0.3467 0.5000
Rh 0.1447 0.3553 0.5000
Rh 0.3553 0.8553 0.5000
Rh 0.6447 0.1447 0.5000
Rh 0.8553 0.6447 0.5000



Starting from a structure optimized by DFT (GGA-PBE), the PXRD pattern of TiMnPt2Rh was simulated for CuKα.
Neutral-atom scattering factors, no anomalous dispersion.

Peak list (12 most intense, 5 to 70 degrees two-theta, by angle)
| 2θ/deg | I/Imax |
| --- | --- |
| 19.2 | 12.5 |
| 20.5 | 31.3 |
| 27.3 | 11.3 |
| 34.4 | 100.0 |
| 38.9 | 54.1 |
| 41.7 | 22.2 |
| 44.4 | 17.7 |
| 50.6 | 4.8 |
| 56.2 | 18.4 |
| 58.4 | 32.7 |
| 60.5 | 7.2 |
| 67.6 | 28.5 |

Structure:
Cell: 4.6267 4.6267 4.3273 Å, 90.00 90.00 90.00°
Element x y z (fractional)
Ti 0.0000 0.0000 0.0000
Mn 0.5000 0.5000 0.5000
Pt 0.0000 0.5000 0.5000
Pt 0.5000 0.0000 0.5000
Rh 0.5000 0.5000 0.0000



Starting from a structure optimized by DFT (GGA-PBE), the PXRD pattern of MnRu4Pt was simulated for CuKα.
Neutral-atom scattering factors, no anomalous dispersion.

Peak list (10 most intense, 5 to 70 degrees two-theta, by angle)
| 2θ/deg | I/Imax |
| --- | --- |
| 21.5 | 12.5 |
| 24.8 | 11.0 |
| 35.4 | 31.5 |
| 41.8 | 100.0 |
| 43.7 | 35.5 |
| 50.9 | 2.4 |
| 55.9 | 2.8 |
| 57.5 | 5.2 |
| 63.6 | 11.3 |
| 67.9 | 30.9 |

Structure:
Cell: 5.0700 5.0700 5.0700 Å, 60.00 60.00 60.00°
Element x y z (fractional)
Mn 0.0000 0.0000 0.0000
Ru 0.1262 0.6246 0.6246
Ru 0.6246 0.1262 0.6246
Regular Meeting Minutes
On a motion made by Gerry Porter, seconded by Dale Lauver, the July 2, 2020 Regular Meeting Minutes were approved as presented. The vote was unanimous.
Treasurer’s Report
On a motion made by Gerry Porter, seconded by Dale Lauver, the August bills were approved for payment and the financial reports were approved on condition that the Township Engineer, Ron Ragan, and the Township Treasurer, Trish Fagan, review the porous paved charges for the New London Township Park. The vote was unanimous.
Planning Commission
Planning Commission Chairman, Ron Ragan, reported that the Hedge Apple Hill Subdivision is in the final plan stage. It is on the Agenda for the August 12, 2020 Planning Commission meeting. The plan will probably come to the Board of Supervisors for approval in September. There has been no work done with the Ordinance amendments since the Township Consultant, David Sweet, has been away.
Engineer’s Report
Township Engineer, Ron Ragan, reported that during tropical storm Isaiah Lester’s pond over flowed onto State Road, the bridge on School Road located just below West Avondale Road seemed to have debris on the guide rail, the Walnut Glen Bridge had water rise to one (1) foot below the road, and the bridge at Creek Road and State Road did not flood.
MS4 – All Townships are in same position. All maps have been submitted. The DEP was contacted about the possibility of challenging these requirements.
New London Township Park – Ron reported the pond filled and spilled over a little. The playground is ninety five (95) percent complete. Work will start on the pavilion next week. The trails are done. Ron met with Brian Campbell about the wet lands bridge which is proposed for this Fall. He spoke with Chester Water Authority about the proposal to tie into the Township Building with one tap. There will be a line into the Township Building, Park, and Salt Shed. The three uses would be combined on one bill.
Resident, Charlie Dunbar, of Alpine Estates was present and told Ron that the ground is eroding on his property and asked if anything can be done. Ron explained the older subdivisions used corrugated metal piping which are starting to rust allowing soil to get into the pipe causing a sink hole. The easement language on the plans state that the Township has the right but not the responsibility, however, the DEP does say it is the Township’s responsibility. The Board of Supervisors agreed to give permission for Ron to look at Mr. Dunbar’s property.
Buildings and Property
Dale Lauver will have Tom Altman service the boiler. Gerry Porter reported that Yard Clipper pruned the burning bush shrubs at the Township building and will cut them further back when they become dormant. There was also a tree cut down at 815 West Avondale Road but will have to be trimmed another day since there was an active nest of hornets.
Emergency Management
Township Emergency Management Coordinator, Dave Flad, reported that the Chester County Health Department ran a Covid test site at the Avon Grove Intermediate School – Penn London Elementary School Campus for the month of June and switched to two (2) days a week in July. He reported one thousand four hundred (1,400) people came through from sixty six (66) different municipalities. Sixty five (65) percent had direct exposure or had symptoms. Starting next week through August and September they will only be testing on Fridays. The County did not collect insurance details. They allowed anyone to go through. Test results were initially taking three (3) to five (5) days to receive the results but now the lab is backed up and taking longer.
Tropical Storm Isaiah – During the peak of the storm on Tuesday PECO had one hundred thousand (100,000) customers without power. Fifty (50) percent were in Chester County. As of today, fourteen thousand (14,000) are still without power in Chester County. There were three hundred (300) road closures. There are still one hundred forty (140) road closures this evening. They are anticipating the roads to be opened soon.
Zoning Report
Zoning Officer, Trish Fagan, reported eighteen (18) building permits were issued in July. Two (2) for single family dwellings. There were no Use and Occupancy Permits issued.
Storm Damage
Gerry Porter reported that after the storm he checked both the 815 West Avondale Road and
835 West Avondale Road houses. The house at 815 West Avondale Road was fine. The house at 835 West Avondale Road appeared to have no leaks and no standing water but the floor had silt on it. He would like to have a plumber take a look at the sump pump.
New London Township Baseball Field
There were a few reported concerns about the field being used and the spectators were not practicing social distancing or wearing face masks. Township Assistant Secretary, Maureen Zdun, will contact Ken Strawhecker about the concerns.
Dave Schupp
Township resident, Dave Schupp, stated for the record that anything he calls the Township about is taken care of right away.
The meeting adjourned at 8:30 PM.
Respectfully submitted,
Maureen Zdun
Assistant Secretary